### Contents
+++
Entry 1:
{"formula": "Ce4C2I5", "functional": "PBE", "state": "optimized geometry", "spacegroup": "Immm, No. 71", "e_form_raw_ev_per_atom": -1.001, "lattice": [[-2.030, 4.382, 10.137], [2.030, -4.382, 10.137], [2.030, 4.382, -10.137]], "species": ["Ce", "Ce", "Ce", "Ce", "C", "C", "I", "I", "I", "I", "I"], "frac_coords": [[0.146, 0.146, 0.000], [0.186, 0.500, 0.686], [0.814, 0.500, 0.314], [0.854, 0.854, 0.000], [0.035, 0.035, 0.000], [0.965, 0.965, 0.000], [0.118, 0.342, 0.776], [0.434, 0.658, 0.776], [0.500, 0.000, 0.500], [0.566, 0.342, 0.224], [0.882, 0.658, 0.224]]}



Entry 2:
{"formula": "BaNaAcAg", "functional": "PBE", "state": "optimized geometry", "e_form_kj_per_mol_atoms": 4.9, "spacegroup": "F-43m, No. 216", "lattice": [[0.000, 4.203, 4.203], [4.203, 0.000, 4.203], [4.203, 4.203, 0.000]], "species": ["Ba", "Na", "Ac", "Ag"], "frac_coords": [[0.000, 0.000, 0.000], [0.250, 0.250, 0.250], [0.500, 0.500, 0.500], [0.750, 0.750, 0.750]]}

* * * * *

Entry 1:
The following is a DFT calculation (GGA-PBE) of Sc2AlPt after structural relaxation. Values from VASP.

```
&SYSTEM
  ibrav = 0, nat = 12, ntyp = 3
/
ATOMIC_SPECIES
Sc 44.96 Sc.upf
Al 26.98 Al.upf
Pt 195.08 Pt.upf
CELL_PARAMETERS angstrom
3.3527 0.0000 0.0000
-1.6764 2.9035 0.0000
0.0000 0.0000 25.2498
ATOMIC_POSITIONS crystal
Sc 0.0000 0.0000 0.2424
Sc 0.0000 0.0000 0.7576
Sc 0.3333 0.6667 0.4243
Sc 0.3333 0.6667 0.9091
Sc 0.6667 0.3333 0.0909
Sc 0.6667 0.3333 0.5757
Al 0.0000 0.0000 0.0000
Al 0.3333 0.6667 0.6667
Al 0.6667 0.3333 0.3333
Pt 0.0000 0.0000 0.5000
Pt 0.3333 0.6667 0.1667
Pt 0.6667 0.3333 0.8333
```

Computed properties:
symmetry	No. 166
formation energy	-0.55	eV/atom
electronic total energy	-0.2263	Ha/atom

=====

Entry 2:
The following is a DFT calculation (GGA-PBE) of Tm12Sb5C2 after structural relaxation. Values from VASP.

```
&SYSTEM
  ibrav = 0, nat = 19, ntyp = 3
/
ATOMIC_SPECIES
Tm 168.93 Tm.upf
Sb 121.76 Sb.upf
C 12.01 C.upf
CELL_PARAMETERS angstrom
8.2569 -3.7260 0.0000
8.2569 3.7260 0.0000
-2.6965 0.0000 8.6488
ATOMIC_POSITIONS crystal
Tm 0.0008 0.0008 0.1720
Tm 0.0909 0.6072 0.9206
Tm 0.1239 0.5974 0.4431
Tm 0.3928 0.9091 0.0794
Tm 0.4026 0.8761 0.5569
Tm 0.4949 0.4949 0.8121
Tm 0.5051 0.5051 0.1879
Tm 0.5974 0.1239 0.4431
Tm 0.6072 0.0909 0.9206
Tm 0.8761 0.4026 0.5569
Tm 0.9091 0.3928 0.0794
Tm 0.9992 0.9992 0.8280
Sb 0.0000 0.0000 0.5000
Sb 0.2916 0.2916 0.6495
Sb 0.3137 0.3137 0.1570
Sb 0.6863 0.6863 0.8430
Sb 0.7084 0.7084 0.3505
C 0.2544 0.7456 0.0000
C 0.7456 0.2544 0.0000
```

Computed properties:
formation energy from raw total energies	-0.546	eV/atom
symmetry	No. 12
electronic total energy	-0.1994	Ha/atom
+++
### Activity
Now set down all of the block above word for word.
### Result
Entry 1:
{"formula": "Ce4C2I5", "functional": "PBE", "state": "optimized geometry", "spacegroup": "Immm, No. 71", "e_form_raw_ev_per_atom": -1.001, "lattice": [[-2.030, 4.382, 10.137], [2.030, -4.382, 10.137], [2.030, 4.382, -10.137]], "species": ["Ce", "Ce", "Ce", "Ce", "C", "C", "I", "I", "I", "I", "I"], "frac_coords": [[0.146, 0.146, 0.000], [0.186, 0.500, 0.686], [0.814, 0.500, 0.314], [0.854, 0.854, 0.000], [0.035, 0.035, 0.000], [0.965, 0.965, 0.000], [0.118, 0.342, 0.776], [0.434, 0.658, 0.776], [0.500, 0.000, 0.500], [0.566, 0.342, 0.224], [0.882, 0.658, 0.224]]}



Entry 2:
{"formula": "BaNaAcAg", "functional": "PBE", "state": "optimized geometry", "e_form_kj_per_mol_atoms": 4.9, "spacegroup": "F-43m, No. 216", "lattice": [[0.000, 4.203, 4.203], [4.203, 0.000, 4.203], [4.203, 4.203, 0.000]], "species": ["Ba", "Na", "Ac", "Ag"], "frac_coords": [[0.000, 0.000, 0.000], [0.250, 0.250, 0.250], [0.500, 0.500, 0.500], [0.750, 0.750, 0.750]]}

* * * * *

Entry 1:
The following is a DFT calculation (GGA-PBE) of Sc2AlPt after structural relaxation. Values from VASP.

```
&SYSTEM
  ibrav = 0, nat = 12, ntyp = 3
/
ATOMIC_SPECIES
Sc 44.96 Sc.upf
Al 26.98 Al.upf
Pt 195.08 Pt.upf
CELL_PARAMETERS angstrom
3.3527 0.0000 0.0000
-1.6764 2.9035 0.0000
0.0000 0.0000 25.2498
ATOMIC_POSITIONS crystal
Sc 0.0000 0.0000 0.2424
Sc 0.0000 0.0000 0.7576
Sc 0.3333 0.6667 0.4243
Sc 0.3333 0.6667 0.9091
Sc 0.6667 0.3333 0.0909
Sc 0.6667 0.3333 0.5757
Al 0.0000 0.0000 0.0000
Al 0.3333 0.6667 0.6667
Al 0.6667 0.3333 0.3333
Pt 0.0000 0.0000 0.5000
Pt 0.3333 0.6667 0.1667
Pt 0.6667 0.3333 0.8333
```

Computed properties:
symmetry	No. 166
formation energy	-0.55	eV/atom
electronic total energy	-0.2263	Ha/atom

=====

Entry 2:
The following is a DFT calculation (GGA-PBE) of Tm12Sb5C2 after structural relaxation. Values from VASP.

```
&SYSTEM
  ibrav = 0, nat = 19, ntyp = 3
/
ATOMIC_SPECIES
Tm 168.93 Tm.upf
Sb 121.76 Sb.upf
C 12.01 C.upf
CELL_PARAMETERS angstrom
8.2569 -3.7260 0.0000
8.2569 3.7260 0.0000
-2.6965 0.0000 8.6488
ATOMIC_POSITIONS crystal
Tm 0.0008 0.0008 0.1720
Tm 0.0909 0.6072 0.9206
Tm 0.1239 0.5974 0.4431
Tm 0.3928 0.9091 0.0794
Tm 0.4026 0.8761 0.5569
Tm 0.4949 0.4949 0.8121
Tm 0.5051 0.5051 0.1879
Tm 0.5974 0.1239 0.4431
Tm 0.6072 0.0909 0.9206
Tm 0.8761 0.4026 0.5569
Tm 0.9091 0.3928 0.0794
Tm 0.9992 0.9992 0.8280
Sb 0.0000 0.0000 0.5000
Sb 0.2916 0.2916 0.6495
Sb 0.3137 0.3137 0.1570
Sb 0.6863 0.6863 0.8430
Sb 0.7084 0.7084 0.3505
C 0.2544 0.7456 0.0000
C 0.7456 0.2544 0.0000
```

Computed properties:
formation energy from raw total energies	-0.546	eV/atom
symmetry	No. 12
electronic total energy	-0.1994	Ha/atom